When you think of the word “connecting” what does this mean to you and to what are you connecting to?
When you are connected, you are in true alignment between Self and Creator/Source/God, it is from here that all things simply flow naturally in your life.
In other words, you are Connected to the Rhythms of your Life.
But what happens when things Don’t flow smoothly?
What about when you experience bouts of frustrations, worries and doubts, fears or anger or any other negative, less than positive emotion, how do you get your Self back on track?
How to Get Connected with Yourself
You Connect!
When you are in rhythm with your life, all things just naturally and abundantly flow. Use this as your gauge to see how connected you are in this moment.
If you are living a life filled with abundance, joy, love, harmony and prosperity, you are connected — anything less than that, follow these three simple steps to reconnect to the rhythms of your life.
Step One:
Meditation is one of the quickest ways to reconnect.
When you meditate, you are bringing your consciousness out of your head, your mental body, and reconnecting with your Greatness, your Higher Self. It is through this connection to the Highest aspect of who you are at your core, that you can almost Instantly, reconnect!
To reconnect through meditation, find a place of quietness to sit for 15 – 20 minutes.
If you prefer, light a candle, burn your favorite scent and/or play some soft form of music. Sit back and close your eyes while you turn your focus inwards towards your breathing. Connect to the rhythm of your breathing. Feel your chest and abdomen rise and fall with every in breath and exhale.
Give your Self permission to relax your mind.
If you find your mind begins to wander, simply acknowledge the thought and send it away and return your focus to your breath.
Sitting in this way will allow you to calm the racing and wild thoughts running through your mind, which have created your upstream journey. As you spend more and more time in quiet contemplation, you will discover that you Naturally, have reconnect with the Rhythms of Your Life.
Step Two:
Movement is a beautiful way to reconnect with your Greatness!
Next to the article, the page also holds records of crystals
____________
Compound: MgPaHgIr
Source: Alexandria via LeMat-Bulk
Functional: PBE
Structure: relaxed

Cell and atoms, written as POSCAR:
```
MgPaHgIr
1.0
4.911 0.000 0.000
2.455 4.253 0.000
2.455 1.418 4.009
Mg Pa Hg Ir
1 1 1 1
direct
0.750 0.750 0.750 Mg
0.250 0.250 0.250 Pa
0.500 0.500 0.500 Hg
0.000 0.000 0.000 Ir
```

Computed properties:
Its space group is No. 216. The value obtained for the theoretical density is 12.854 Mg/m³.

Compound: TmPu2Ta
Source: Alexandria via LeMat-Bulk
Functional: PBE
Structure: relaxed

Cell and atoms, written as POSCAR:
```
TmPu2Ta
1.0
-0.454 -1.957 -2.542
0.063 -3.215 0.399
-10.709 -1.700 1.157
Ta Tm Pu
1 1 2
direct
0.000 0.000 0.000 Ta
0.500 0.500 0.500 Tm
0.743 0.743 0.771 Pu
0.257 0.257 0.229 Pu
```

Computed properties:
Its space group is No. 166. The value obtained for the theoretical density is 14.243 Mg/m³.

| no. | final energy (Ry/atom) |
| --- | --- |
| 1 | -0.3895 |
| 2 | -0.8031 |


# Cd3Ga5I12

A relaxed Cd3Ga5I12 crystal (PBE-GGA, the Alexandria database).

- E_tot: -2.09 eV per atom
- Calculated volume: 3485.9 Å³ per cell
- Formation energy from raw total energies: -6.17 kcal/mol of atoms

```
Cd3Ga5I12
1.0
-2.1969 -2.1381 16.2577
-7.0310 -12.5253 -8.2093
16.1921 0.4040 -3.3707
Cd I Ga
12 48 20
Cartesian
8.1344 -5.7303 4.5545
-2.2603 -6.2501 8.6934
5.7173 -10.9239 -7.6789
2.3202 -12.3107 2.9034
4.0230 -9.9432 -2.1670
2.9412 -4.3161 6.8447
9.2245 -8.0093 -4.0157
-5.1716 -11.2143 7.6472
4.6439 -1.9487 1.7742
1.2468 -3.3355 12.3566
-1.1702 -8.5291 0.1232
12.1357 -3.0451 -2.9695
3.1289 -13.3136 -0.7162
6.6977 -3.9857 7.5804
9.5227 -5.2474 -1.3616
4.9840 -9.9992 1.5525
-1.9986 -5.8178 2.6185
-3.4910 -12.8231 4.6721
3.0641 -9.0285 -5.7733
11.6292 -2.8665 10.8307
10.0678 -4.7480 -5.7235
-0.3272 -11.3634 -7.0226
6.1972 -2.5371 -1.6902
7.2914 -2.8960 11.7003
10.4551 -1.4362 0.0056
0.7670 -11.7223 6.3679
7.7773 -10.4715 -1.5446
0.7869 -8.8151 3.3406
8.9627 -8.4416 2.0592
2.0628 -1.4326 9.1201
0.2665 -10.2737 -2.9027
4.7423 -7.3139 5.4188
-3.1036 -9.5113 10.4012
-0.3039 -6.8174 11.8738
14.7933 -1.2606 -0.8447
-2.5585 -9.0119 6.0392
8.0064 -2.0404 3.4916
-1.0422 -12.2190 1.1861
-1.4532 -5.1722 -1.7243
2.2219 -6.9454 -0.7412
1.1246 -7.5722 7.4460
-2.1149 -2.9625 10.6764
7.2681 -7.4420 -7.1961
3.9001 -5.2309 10.4510
9.0791 -11.2969 -5.9987
1.8854 -2.6560 -0.7065
10.6998 -5.0496 7.2414
-4.6650 -11.3929 -6.1530
-3.7356 -9.2097 -2.5637
4.9014 -12.8267 -4.4424
11.3715 -4.4796 2.9058
-0.8131 -3.7878 6.2222
6.1773 -5.4443 1.3371
8.4173 -9.0871 6.4020
5.8396 -6.6872 -2.7683
5.0788 -11.6033 5.3841
1.9802 -4.2602 3.1252
3.8352 -0.9458 5.3939
-7.8291 -12.9987 5.5224
-4.4073 -9.7797 1.7719
-0.5576 -3.8826 3.6230
6.9342 -4.9790 -1.1208
11.6415 -2.8157 8.2177
0.0300 -9.2804 5.7984
-4.6774 -11.4436 -3.5400
10.4414 -2.0644 2.5424
0.0000 0.0000 0.0000
-1.0985 -1.0691 8.1288
-3.5155 -6.2626 -4.1046
5.8274 -9.3961 6.5666
-3.4772 -12.1949 2.1352
0.5242 -9.5097 -5.3888
3.4821 -7.1297 2.3388
6.4400 -4.7497 10.0664
7.5218 -10.3768 1.0547
____________
Movement can mean different things to different people. Movement can be any form of dancing, walking, running, surfing, yoga, in some way connecting with the Earth energies or anything that offers the body an opportunity to release blockages within.
One of my favorite ways to bring the flow of movement into my own daily rhythms, is to play some soft music, close my eyes and let my body move however it chooses to move. Often times it feels as though there are imaginary ribbons in my hands and as I move my arms the ribbons glide gracefully through the air, circling me, embracing me and caressing me as I connect with the rhythm of my own life energy.
Whatever form of movement you choose, the value of movement is two fold.
First, you open your energies up to begin to flow freely and second, you connect to your breathing. It is through this connection to the breath, the breath which sustains all life, that aids you in Connecting to the Rhythms of your Life.
Step Three:
Music is another great way to reconnect, especially when, through your reconnecting purpose, you are connecting to the depths of your Soul!
One of the best forms of music, notes or frequencies to align with, are the Solfeggio frequencies.
These are old, ancient tones used for healing and alignment purposes. There are seven main frequencies each relating to a specific pitch or tone and energy. The most prevalent of the frequencies at this time, is the 528 Hz — more commonly known as the “Love Frequency.”
Listening to just this one frequency daily will aid you in reconnecting with the Rhythm of your Life.
To learn more about these frequencies and how you can promote healing, balance and deepening your connection, please visit the site.
It was through my own inner healing journey did I discover the power of these frequencies! This form of music can bring healing at the cellular level and when you embark on this form of deep inner healing, you quickly become reconnected!
Choose to make this connection.
When you make a conscious choice to honor your Self daily by connecting with the Rhythms of Your Life, it can literally change your life if you open to it! When life is showing you that change is a necessary piece of your movement and rhythm, bend with it and embrace your journey.